Source.
-- begin --
Entry 1:
## SrHfTlNi2 (PBE-GGA)

Data for SrHfTlNi2 after structural relaxation.

Values from the calculation:
* DFT total energy: -3.8431 eV per atom

Lattice parameters (Å, degrees): 4.862 5.599 4.862 90.00 90.00 90.00
Each line ends with the local moment (μB).
Sites, in units of the cell vectors:
Sr (0.000, 0.500, 0.000)  0.07
Ni (0.000, 0.000, 0.500)  0.01
Ni (0.500, 0.000, 0.000)  0.04
Hf (0.500, 0.500, 0.500)  0.54
Tl (0.000, 0.000, 0.000)  0.01

=====

Entry 2:
## Rb2GaRe (PBE-GGA)

Data for Rb2GaRe after structural relaxation.

Values from the calculation:
* DFT total energy: -2.8369 eV per atom

Lattice parameters (Å, degrees): 4.072 4.072 12.649 80.74 80.74 90.00
Sites, in units of the cell vectors:
Ga (0.250, 0.750, 0.500)
Ga (0.500, 0.500, 0.000)
Re (0.000, 0.000, 0.000)
Re (0.750, 0.250, 0.500)
Rb (0.375, 0.375, 0.750)
Rb (0.125, 0.625, 0.250)
Rb (0.875, 0.875, 0.750)
Rb (0.625, 0.125, 0.250)

=====

Entry 3:
## KZrNi (PBE-GGA)

Data for KZrNi after structural relaxation.

Values from the calculation:
* energy above the most stable polymorph in this dataset: 0.000 eV per atom

Lattice parameters (Å, degrees): 7.578 7.577 3.327 77.32 77.31 25.36
Sites, in units of the cell vectors:
K (0.977, 0.977, 0.023)
Ni (0.300, 0.300, 0.700)
Zr (0.723, 0.723, 0.277)

=====

Table of N(E_F) (states/eV/atom), in record order: 1.50 0.44 1.11

~~~~~

# Sb

A geometry-optimized Sb structure (PBE, the Alexandria database).

Cell: 10.578 10.578 10.578 Å, 90.00 90.00 90.00°
Space group Im-3m (No. 229)
Symmetry-distinct sites (fractional):
Sb 0.139 0.139 0.139 (multiplicity 16)

Formation energy from raw total energies = 355 meV per atom
Calculated volume = 73.98 Å³/atom
Offset from the most stable computed form = 0.355 eV/atom
Total moment = 0.00 μB/f.u.
Total energy = -3.77 eV/atom

~~~~~

1.
PmCu4Pt8: relaxed, PBE.

It has space group I4/mmm (No. 139), with a = 8.966 Å, b = 8.966 Å, c = 5.077 Å, α = 90.00°, β = 90.00° and γ = 90.00°. The inequivalent atoms are Pm at (0.000, 0.000, 0.000), Cu at (0.250, 0.250, 0.250), Pt at (0.000, 0.221, 0.500) and Pt at (0.000, 0.347, 0.000).

Its density of states at the Fermi level is 1.143 states/eV/atom. The value obtained for the energy of formation is -4.48 eV/f.u.

***

2.
PmCu10Pt2: relaxed, PBE.

It has space group Fmmm (No. 69), with a = 5.252 Å, b = 11.786 Å, c = 12.186 Å, α = 90.00°, β = 90.00° and γ = 90.00°. The inequivalent atoms are Pm at (0.000, 0.000, 0.000), Cu at (0.000, 0.108, 0.383), Cu at (0.000, 0.175, 0.178), Cu at (0.250, 0.000, 0.250) and Pt at (0.250, 0.250, 0.000).

Its density of states at the Fermi level is 0.427 states/eV/atom. The value obtained for the energy of formation is -2.07 eV/f.u.

***

3.
Pm8Cu2Pt: relaxed, PBE.

It has space group C2/m (No. 12), with a = 17.880 Å, b = 5.156 Å, c = 6.850 Å, α = 90.00°, β = 102.12° and γ = 90.00°. The inequivalent atoms are Pm at (0.033, 0.000, 0.281), Pm at (0.089, 0.500, 0.945), Pm at (0.166, 0.500, 0.474), Pm at (0.201, 0.000, 0.841), Cu at (0.191, 0.000, 0.245) and Pt at (0.000, 0.500, 0.500).

Its density of states at the Fermi level is 0.905 states/eV/atom. The value obtained for the energy of formation is -2.77 eV/f.u.

***

4.
Pm4Cu2Pt: relaxed, PBE.

It has space group R-3m (No. 166, hexagonal axes), with a = 5.0099 Å, b = 5.0099 Å, c = 24.7682 Å, α = 90.00°, β = 90.00° and γ = 120.00°. The inequivalent atoms are Pm at (0.0000, 0.0000, 0.1250), Pm at (0.0000, 0.0000, 0.3754), Cu at (0.0000, 0.0000, 0.2551) and Pt at (0.0000, 0.0000, 0.5000).

Its density of states at the Fermi level is 1.096 states/eV/atom. The value obtained for the energy of formation is -2.36 eV/f.u.

***

5.
Pm5Cu2Pt2: relaxed, PBE.
-- stop --
Wanted.
Now give back the whole of the listing further up verbatim.
Here it is.
Entry 1:
## SrHfTlNi2 (PBE-GGA)

Data for SrHfTlNi2 after structural relaxation.

Values from the calculation:
* DFT total energy: -3.8431 eV per atom

Lattice parameters (Å, degrees): 4.862 5.599 4.862 90.00 90.00 90.00
Each line ends with the local moment (μB).
Sites, in units of the cell vectors:
Sr (0.000, 0.500, 0.000)  0.07
Ni (0.000, 0.000, 0.500)  0.01
Ni (0.500, 0.000, 0.000)  0.04
Hf (0.500, 0.500, 0.500)  0.54
Tl (0.000, 0.000, 0.000)  0.01

=====

Entry 2:
## Rb2GaRe (PBE-GGA)

Data for Rb2GaRe after structural relaxation.

Values from the calculation:
* DFT total energy: -2.8369 eV per atom

Lattice parameters (Å, degrees): 4.072 4.072 12.649 80.74 80.74 90.00
Sites, in units of the cell vectors:
Ga (0.250, 0.750, 0.500)
Ga (0.500, 0.500, 0.000)
Re (0.000, 0.000, 0.000)
Re (0.750, 0.250, 0.500)
Rb (0.375, 0.375, 0.750)
Rb (0.125, 0.625, 0.250)
Rb (0.875, 0.875, 0.750)
Rb (0.625, 0.125, 0.250)

=====

Entry 3:
## KZrNi (PBE-GGA)

Data for KZrNi after structural relaxation.

Values from the calculation:
* energy above the most stable polymorph in this dataset: 0.000 eV per atom

Lattice parameters (Å, degrees): 7.578 7.577 3.327 77.32 77.31 25.36
Sites, in units of the cell vectors:
K (0.977, 0.977, 0.023)
Ni (0.300, 0.300, 0.700)
Zr (0.723, 0.723, 0.277)

=====

Table of N(E_F) (states/eV/atom), in record order: 1.50 0.44 1.11

~~~~~

# Sb

A geometry-optimized Sb structure (PBE, the Alexandria database).

Cell: 10.578 10.578 10.578 Å, 90.00 90.00 90.00°
Space group Im-3m (No. 229)
Symmetry-distinct sites (fractional):
Sb 0.139 0.139 0.139 (multiplicity 16)

Formation energy from raw total energies = 355 meV per atom
Calculated volume = 73.98 Å³/atom
Offset from the most stable computed form = 0.355 eV/atom
Total moment = 0.00 μB/f.u.
Total energy = -3.77 eV/atom

~~~~~

1.
PmCu4Pt8: relaxed, PBE.

It has space group I4/mmm (No. 139), with a = 8.966 Å, b = 8.966 Å, c = 5.077 Å, α = 90.00°, β = 90.00° and γ = 90.00°. The inequivalent atoms are Pm at (0.000, 0.000, 0.000), Cu at (0.250, 0.250, 0.250), Pt at (0.000, 0.221, 0.500) and Pt at (0.000, 0.347, 0.000).

Its density of states at the Fermi level is 1.143 states/eV/atom. The value obtained for the energy of formation is -4.48 eV/f.u.

***

2.
PmCu10Pt2: relaxed, PBE.

It has space group Fmmm (No. 69), with a = 5.252 Å, b = 11.786 Å, c = 12.186 Å, α = 90.00°, β = 90.00° and γ = 90.00°. The inequivalent atoms are Pm at (0.000, 0.000, 0.000), Cu at (0.000, 0.108, 0.383), Cu at (0.000, 0.175, 0.178), Cu at (0.250, 0.000, 0.250) and Pt at (0.250, 0.250, 0.000).

Its density of states at the Fermi level is 0.427 states/eV/atom. The value obtained for the energy of formation is -2.07 eV/f.u.

***

3.
Pm8Cu2Pt: relaxed, PBE.

It has space group C2/m (No. 12), with a = 17.880 Å, b = 5.156 Å, c = 6.850 Å, α = 90.00°, β = 102.12° and γ = 90.00°. The inequivalent atoms are Pm at (0.033, 0.000, 0.281), Pm at (0.089, 0.500, 0.945), Pm at (0.166, 0.500, 0.474), Pm at (0.201, 0.000, 0.841), Cu at (0.191, 0.000, 0.245) and Pt at (0.000, 0.500, 0.500).

Its density of states at the Fermi level is 0.905 states/eV/atom. The value obtained for the energy of formation is -2.77 eV/f.u.

***

4.
Pm4Cu2Pt: relaxed, PBE.

It has space group R-3m (No. 166, hexagonal axes), with a = 5.0099 Å, b = 5.0099 Å, c = 24.7682 Å, α = 90.00°, β = 90.00° and γ = 120.00°. The inequivalent atoms are Pm at (0.0000, 0.0000, 0.1250), Pm at (0.0000, 0.0000, 0.3754), Cu at (0.0000, 0.0000, 0.2551) and Pt at (0.0000, 0.0000, 0.5000).

Its density of states at the Fermi level is 1.096 states/eV/atom. The value obtained for the energy of formation is -2.36 eV/f.u.

***

5.
Pm5Cu2Pt2: relaxed, PBE.